-- begin --
Entry 1:
CsSc2O (PBE, relaxed); uncorrected formation energy = -944.4 meV/atom
1.0
0.0000 4.9057 4.9057
4.9057 0.0000 4.9057
4.9057 4.9057 0.0000
Cs Sc O
2 4 2
Cartesian
1.2264 1.2264 1.2264 Cs
8.5850 8.5850 8.5850 Cs
4.9057 2.4528 2.4528 Sc
2.4528 4.9057 2.4528 Sc
2.4528 2.4528 4.9057 Sc
4.9057 4.9057 4.9057 Sc
3.6793 3.6793 3.6793 O
6.1321 6.1321 6.1321 O

***

Entry 2:
K3Sm2HoO6 (PBE, relaxed); uncorrected formation energy = -2701.6 meV/atom
1.0
3.0714 -5.3202 0.0000
3.0714 5.3202 0.0000
-2.0480 0.0000 6.2811
K Sm Ho O
3 2 1 6
Cartesian
0.0000 0.0000 0.0000 K
3.0714 1.7598 0.0000 K
3.0714 -1.7598 0.0000 K
2.0474 3.5464 3.1406 Sm
2.0474 -3.5464 3.1406 Sm
2.0474 0.0000 3.1406 Ho
1.0476 1.7316 1.9621 O
0.0482 0.0000 4.3170 O
1.0476 -1.7316 1.9621 O
3.0471 1.7316 4.3191 O
4.0465 0.0000 1.9642 O
3.0471 -1.7316 4.3191 O

***

Entry 3:
PmPdCl5 (PBE, relaxed); uncorrected formation energy = -1357.2 meV/atom
1.0
5.6306 -4.0469 0.0000
5.6306 4.0469 0.0000
-3.9397 0.0000 8.6099
Pm Pd Cl
2 2 10
Cartesian
2.6759 3.5023 6.4574 Pm
4.6457 -3.5023 2.1525 Pm
5.6306 0.0000 0.0000 Pd
3.6608 0.0000 4.3049 Pd
5.3564 2.5094 0.2396 Cl
3.9350 2.5094 4.0653 Cl
1.4194 0.2220 3.2140 Cl
-0.5504 -0.2220 7.5189 Cl
2.6759 0.6599 6.4574 Cl
4.6457 -0.6599 2.1525 Cl
7.8720 0.2220 1.0910 Cl
5.9022 -0.2220 5.3959 Cl
3.3866 -2.5094 4.5446 Cl
1.9652 -2.5094 8.3703 Cl

***

Entry 4:
YBiSb (PBE, relaxed); uncorrected formation energy = -316.8 meV/atom
1.0
5.5272 0.0000 0.0000
-2.7636 4.7867 0.0000
0.0000 0.0000 3.2991
Y Bi Sb
1 1 1
Cartesian
0.0000 0.0000 0.0000 Y
0.0000 3.1911 1.6486 Bi
2.7636 1.5956 1.6403 Sb

***

Entry 5:
MnAs2Pt (PBE, relaxed); final energy = -24.7 eV per cell
1.0
4.2824 0.0000 0.0000
0.0000 3.9973 0.0000
-0.6713 0.0000 4.3625
Mn As Pt
1 2 1
Cartesian
0.0000 0.0000 0.0000 Mn
0.7811 1.9986 3.3343 As
2.8300 1.9986 1.0282 As
1.8055 0.0000 2.1812 Pt

***

Entry 6:
LiDyLu (PBE, relaxed); final energy = -10.7 eV per cell
1.0
3.4218 0.0000 0.0000
-1.7109 2.9634 0.0000
0.0000 0.0000 8.2541
Li Dy Lu
1 1 1
Cartesian
0.0000 0.0000 0.0000 Li
0.0000 1.9756 5.4838 Dy
1.7109 0.9878 2.7007 Lu

***

Entry 7:
AcDy3Al8 (PBE, relaxed); final energy = -53.3 eV per cell
1.0
2.8174 1.6266 9.3076
-2.8174 1.6266 9.3076
0.0000 -3.2532 9.3076
Ac Dy Al
1 3 8
Cartesian
0.0000 0.0000 0.0000 Ac
0.0000 0.0000 10.4998 Dy
0.0000 0.0000 13.9306 Dy
0.0000 0.0000 24.4129 Dy
0.0000 0.0000 5.2072 Al
0.0000 -1.6189 16.7702 Al
-1.4020 0.8095 16.7702 Al
-1.4000 -0.8083 21.5883 Al
0.0000 0.0000 19.2185 Al
1.4020 0.8095 16.7703 Al
1.4000 -0.8083 21.5883 Al
0.0000 1.6166 21.5883 Al

***

Entry 8:
PmDy4Er6 (PBE, relaxed); final energy = -98.4 eV per cell
1.0
2.8174 -4.8079 0.0000
2.8174 4.8079 0.0000
0.0000 0.0000 25.5525
Pm Dy Er
2 8 12
Cartesian
2.8174 3.1068 19.1644 Pm
2.8174 -3.1068 6.3881 Pm
2.8174 3.2476 1.0686 Dy
2.8174 3.2476 11.7076 Dy
2.8174 0.1368 3.0973 Dy
2.8174 0.1368 9.6790 Dy
2.8174 -0.1368 15.8735 Dy
2.8174 -0.1368 22.4552 Dy
2.8174 -3.2476 13.8449 Dy
2.8174 -3.2476 24.4839 Dy
2.8174 3.3202 4.6235 Er
2.8174 3.3202 8.1528 Er
2.8174 3.0960 15.3997 Er
2.8174 3.0960 22.9291 Er
2.8174 0.1050 6.3881 Er
2.8174 0.0000 0.0000 Er
2.8174 0.0000 12.7762 Er
2.8174 -0.1050 19.1644 Er
2.8174 -3.0960 2.6234 Er
2.8174 -3.0960 10.1528 Er
2.8174 -3.3202 17.3997 Er
2.8174 -3.3202 20.9290 Er

***

Entry 9:
EuPRh3 (PBE, relaxed); final energy = -40.6 eV per cell
1.0
4.4882 0.0000 0.0000
0.0000 4.4882 0.0000
0.0000 0.0000 4.4882
Eu P Rh
1 1 3
Cartesian
0.0000 0.0000 0.0000 Eu
2.2441 2.2441 2.2441 P
0.0000 2.2441 2.2441 Rh
2.2441 0.0000 2.2441 Rh
2.2441 2.2441 0.0000 Rh

***

Entry 10:
SmCd12Au6 (PBE, relaxed); final energy = -38.2 eV per cell
1.0
6.3240 3.6511 3.1117
-6.3240 3.6511 3.1117
0.0000 -7.3023 3.1117
Sm Cd Au
1 12 6
Cartesian
0.0000 0.0000 0.0000 Sm
-2.4453 -4.2355 4.6675 Cd
-4.8907 0.0000 4.6675 Cd
-1.5606 -0.9010 2.8173 Cd
1.5606 -0.9010 2.8173 Cd
0.0000 1.8020 2.8173 Cd
2.4454 -4.2355 4.6675 Cd
-2.4454 4.2355 4.6675 Cd
0.0000 -1.8020 6.5177 Cd
-1.5606 0.9010 6.5177 Cd
-- stop --

Please repeat the whole of the entries above word for word.

Entry 1:
CsSc2O (PBE, relaxed); uncorrected formation energy = -944.4 meV/atom
1.0
0.0000 4.9057 4.9057
4.9057 0.0000 4.9057
4.9057 4.9057 0.0000
Cs Sc O
2 4 2
Cartesian
1.2264 1.2264 1.2264 Cs
8.5850 8.5850 8.5850 Cs
4.9057 2.4528 2.4528 Sc
2.4528 4.9057 2.4528 Sc
2.4528 2.4528 4.9057 Sc
4.9057 4.9057 4.9057 Sc
3.6793 3.6793 3.6793 O
6.1321 6.1321 6.1321 O

***

Entry 2:
K3Sm2HoO6 (PBE, relaxed); uncorrected formation energy = -2701.6 meV/atom
1.0
3.0714 -5.3202 0.0000
3.0714 5.3202 0.0000
-2.0480 0.0000 6.2811
K Sm Ho O
3 2 1 6
Cartesian
0.0000 0.0000 0.0000 K
3.0714 1.7598 0.0000 K
3.0714 -1.7598 0.0000 K
2.0474 3.5464 3.1406 Sm
2.0474 -3.5464 3.1406 Sm
2.0474 0.0000 3.1406 Ho
1.0476 1.7316 1.9621 O
0.0482 0.0000 4.3170 O
1.0476 -1.7316 1.9621 O
3.0471 1.7316 4.3191 O
4.0465 0.0000 1.9642 O
3.0471 -1.7316 4.3191 O

***

Entry 3:
PmPdCl5 (PBE, relaxed); uncorrected formation energy = -1357.2 meV/atom
1.0
5.6306 -4.0469 0.0000
5.6306 4.0469 0.0000
-3.9397 0.0000 8.6099
Pm Pd Cl
2 2 10
Cartesian
2.6759 3.5023 6.4574 Pm
4.6457 -3.5023 2.1525 Pm
5.6306 0.0000 0.0000 Pd
3.6608 0.0000 4.3049 Pd
5.3564 2.5094 0.2396 Cl
3.9350 2.5094 4.0653 Cl
1.4194 0.2220 3.2140 Cl
-0.5504 -0.2220 7.5189 Cl
2.6759 0.6599 6.4574 Cl
4.6457 -0.6599 2.1525 Cl
7.8720 0.2220 1.0910 Cl
5.9022 -0.2220 5.3959 Cl
3.3866 -2.5094 4.5446 Cl
1.9652 -2.5094 8.3703 Cl

***

Entry 4:
YBiSb (PBE, relaxed); uncorrected formation energy = -316.8 meV/atom
1.0
5.5272 0.0000 0.0000
-2.7636 4.7867 0.0000
0.0000 0.0000 3.2991
Y Bi Sb
1 1 1
Cartesian
0.0000 0.0000 0.0000 Y
0.0000 3.1911 1.6486 Bi
2.7636 1.5956 1.6403 Sb

***

Entry 5:
MnAs2Pt (PBE, relaxed); final energy = -24.7 eV per cell
1.0
4.2824 0.0000 0.0000
0.0000 3.9973 0.0000
-0.6713 0.0000 4.3625
Mn As Pt
1 2 1
Cartesian
0.0000 0.0000 0.0000 Mn
0.7811 1.9986 3.3343 As
2.8300 1.9986 1.0282 As
1.8055 0.0000 2.1812 Pt

***

Entry 6:
LiDyLu (PBE, relaxed); final energy = -10.7 eV per cell
1.0
3.4218 0.0000 0.0000
-1.7109 2.9634 0.0000
0.0000 0.0000 8.2541
Li Dy Lu
1 1 1
Cartesian
0.0000 0.0000 0.0000 Li
0.0000 1.9756 5.4838 Dy
1.7109 0.9878 2.7007 Lu

***

Entry 7:
AcDy3Al8 (PBE, relaxed); final energy = -53.3 eV per cell
1.0
2.8174 1.6266 9.3076
-2.8174 1.6266 9.3076
0.0000 -3.2532 9.3076
Ac Dy Al
1 3 8
Cartesian
0.0000 0.0000 0.0000 Ac
0.0000 0.0000 10.4998 Dy
0.0000 0.0000 13.9306 Dy
0.0000 0.0000 24.4129 Dy
0.0000 0.0000 5.2072 Al
0.0000 -1.6189 16.7702 Al
-1.4020 0.8095 16.7702 Al
-1.4000 -0.8083 21.5883 Al
0.0000 0.0000 19.2185 Al
1.4020 0.8095 16.7703 Al
1.4000 -0.8083 21.5883 Al
0.0000 1.6166 21.5883 Al

***

Entry 8:
PmDy4Er6 (PBE, relaxed); final energy = -98.4 eV per cell
1.0
2.8174 -4.8079 0.0000
2.8174 4.8079 0.0000
0.0000 0.0000 25.5525
Pm Dy Er
2 8 12
Cartesian
2.8174 3.1068 19.1644 Pm
2.8174 -3.1068 6.3881 Pm
2.8174 3.2476 1.0686 Dy
2.8174 3.2476 11.7076 Dy
2.8174 0.1368 3.0973 Dy
2.8174 0.1368 9.6790 Dy
2.8174 -0.1368 15.8735 Dy
2.8174 -0.1368 22.4552 Dy
2.8174 -3.2476 13.8449 Dy
2.8174 -3.2476 24.4839 Dy
2.8174 3.3202 4.6235 Er
2.8174 3.3202 8.1528 Er
2.8174 3.0960 15.3997 Er
2.8174 3.0960 22.9291 Er
2.8174 0.1050 6.3881 Er
2.8174 0.0000 0.0000 Er
2.8174 0.0000 12.7762 Er
2.8174 -0.1050 19.1644 Er
2.8174 -3.0960 2.6234 Er
2.8174 -3.0960 10.1528 Er
2.8174 -3.3202 17.3997 Er
2.8174 -3.3202 20.9290 Er

***

Entry 9:
EuPRh3 (PBE, relaxed); final energy = -40.6 eV per cell
1.0
4.4882 0.0000 0.0000
0.0000 4.4882 0.0000
0.0000 0.0000 4.4882
Eu P Rh
1 1 3
Cartesian
0.0000 0.0000 0.0000 Eu
2.2441 2.2441 2.2441 P
0.0000 2.2441 2.2441 Rh
2.2441 0.0000 2.2441 Rh
2.2441 2.2441 0.0000 Rh

***

Entry 10:
SmCd12Au6 (PBE, relaxed); final energy = -38.2 eV per cell
1.0
6.3240 3.6511 3.1117
-6.3240 3.6511 3.1117
0.0000 -7.3023 3.1117
Sm Cd Au
1 12 6
Cartesian
0.0000 0.0000 0.0000 Sm
-2.4453 -4.2355 4.6675 Cd
-4.8907 0.0000 4.6675 Cd
-1.5606 -0.9010 2.8173 Cd
1.5606 -0.9010 2.8173 Cd
0.0000 1.8020 2.8173 Cd
2.4454 -4.2355 4.6675 Cd
-2.4454 4.2355 4.6675 Cd
0.0000 -1.8020 6.5177 Cd
-1.5606 0.9010 6.5177 Cd